The beginning of what was to become the
United States was characterized by inconsistencies in the values and behavior of
its population, inconsistencies that were reflected by population,
inconsistencies that were reflected by its spokesmen, who took conflicting
stances in many areas, but on the subject of race, the conflicts were
particularly vivid. The idea that the Caucasian race and European civilization
were superior was well entrenched in the culture of the colonists at the very
time that the "egalitarian" republic was founded. Voluminous historical evidence
indicates that, in the mind of the average colonist, the African was a heathen,
he was black, and he was different in crucial philosophical ways. As time
progressed, he was also increasingly captive, adding to the conception of
deviance. The African, therefore, could be just A. emphasize his admiration for the early Americans B. ridicule the idea of democracy C. remind the reader of the principles of the new nation D. underscore the fact that equality did not extend to everyone [单项选择]石苇散用治于
A. 热淋 B. 石淋 C. 气淋 D. 血淋 E. 膏淋 [单项选择]意外伤害保险的未到期责任准备金可以按( )计算,与财产保险相同。
A. 生命表、利息率 B. 被保险人年龄、已保年限 C. 当年保险费收入的一定百分比 D. 保险金额 [判断题]起下钻时发生井涌,应迅速将钻具全部起出,然后关井。
A.正确 B.错误 [单选题]高速铁路施工作业和应纳入天窗的维修作业应在( )进行。
A.天窗内 B.昼间 C.夜间 D.天窗外 [不定项选择题]患者,男性,36岁,下唇糜烂半年、检查:下唇唇红部有1cm×1cm红色区,中央微凹陷,边缘隆起,内侧有放射状白色短条纹,口腔内未见病损。
下列哪项不是该病的病理表现 ( )
A.固有层淋巴细胞带状浸润 B.棘层变薄 C.胶原纤维变性 D.出现上皮角质栓 E.出现胶样小体 [单项选择]对建设工程项目结构主要部位(如桩基、基础、主体结构)除了常规检查外,在分部工程( )进行监督。
A. 建设时 B. 结束时 C. 即将结束时 D. 验收时 [单选题]( )抓斗有一个可伸缩的折叠式导杆做导向,可以保证成槽的垂直度。
A.走管式 B.悬吊式 C.导板式 D.倒杆式 [判断题]中共二大第一次提出明确的反帝反封建的民主主义革命纲领。
A.正确 B.错误 [简答题]何为SID-8BT-A型备用电源快切装置的并联自动切换?
A. 胸膜间皮细胞瘤 B. 大叶性肺炎 C. 充血性心衰 D. 结核性胸膜炎 E. 肝硬化 [判断题]从业人员和生产经营单位可根据自身或企业财政状况适当调整工伤社会保险赔付和民事赔偿的金额标准。( )
A.正确 B.错误 [填空题]Vitamins are organic compounds necessary, in small amounts in the diet for the normal growth and maintenance of life of animals, including man.
They do not provide energy, ________ do they construct or build any part of the body. They are needed for ________ foods into energy and body maintenance. There are thirteen or more of them, and if ________ is missing a deficiency disease becomes ________ .
Vitamins are similar because they are made of the same elements―usually carbon, hydrogen, oxygen, and ______ nitrogen. They are different ______ their elements are arranged differently, and each vitamin ______ one or more specific functions in the body.
________ enough vitamins is essential to life, although the body has no nutritional use for ________ vitamins. Many people, ________ , believe in being on the "safe side" and thus take extra vitamins. However, a well-balanced diet will usually meet all the body’’s vitamin needs.
A. A.undertakes B.holds C.plays D.performs [单项选择]光缆布放的瞬间最大张力不超过光缆允许张力的()%(指无金属内护层的光缆)。
Next to the piece, the page also holds data records
+++
(i)
# GGA+U CoAg3F, relaxed
# - Fermi-level density of states (states/eV/atom) = 0.673
data_CoAg3F
_space_group_name_H-M_alt 'P m -3 m'
_space_group_IT_number 221
_space_group_name_Hall '-P 4 2 3'
_cell_length_a 4.845
_cell_length_b 4.845
_cell_length_c 4.845
_cell_angle_alpha 90.00
_cell_angle_beta 90.00
_cell_angle_gamma 90.00
loop_
_atom_site_label
_atom_site_type_symbol
_atom_site_fract_x
_atom_site_fract_y
_atom_site_fract_z
Co1 Co 0.000 0.000 0.000
Ag1 Ag 0.000 0.000 0.500
F1 F 0.500 0.500 0.500

(ii)
# GGA+U CoAg3F, relaxed
# - Fermi-level density of states (states/eV/atom) = 0.373
data_CoAg3F
_space_group_name_H-M_alt 'P m -3 m'
_space_group_IT_number 221
_space_group_name_Hall '-P 4 2 3'
_cell_length_a 4.575
_cell_length_b 4.575
_cell_length_c 4.575
_cell_angle_alpha 90.00
_cell_angle_beta 90.00
_cell_angle_gamma 90.00
loop_
_atom_site_label
_atom_site_type_symbol
_atom_site_fract_x
_atom_site_fract_y
_atom_site_fract_z
Co1 Co 0.000 0.000 0.000
Ag1 Ag 0.000 0.500 0.500
F1 F 0.500 0.500 0.500

Bottom line: (ii), by a margin of 375 meV per atom.

(i)
# GGA+U Co2AgF6, relaxed
# - Fermi-level density of states (states/eV/atom) = 0.755
data_Co2AgF6
_space_group_name_H-M_alt 'P 42/m n m'
_space_group_IT_number 136
_space_group_name_Hall '-P 4n 2n'
_cell_length_a 4.892
_cell_length_b 4.892
_cell_length_c 9.897
_cell_angle_alpha 90.00
_cell_angle_beta 90.00
_cell_angle_gamma 90.00
loop_
_atom_site_label
_atom_site_type_symbol
_atom_site_fract_x
_atom_site_fract_y
_atom_site_fract_z
Co1 Co 0.000 0.000 0.168
Ag1 Ag 0.000 0.000 0.500
F1 F 0.182 0.182 0.000
F2 F 0.214 0.214 0.313

(ii)
# GGA+U Co2AgF6, relaxed
# - Fermi-level density of states (states/eV/atom) = 0.555
data_Co2AgF6
_space_group_name_H-M_alt 'P -3 1 m'
_space_group_IT_number 162
_space_group_name_Hall '-P 3 2'
_cell_length_a 5.3510
_cell_length_b 5.3510
_cell_length_c 4.8692
_cell_angle_alpha 90.00
_cell_angle_beta 90.00
_cell_angle_gamma 120.00
loop_
_atom_site_label
_atom_site_type_symbol
_atom_site_fract_x
_atom_site_fract_y
_atom_site_fract_z
Co1 Co 0.3333 0.6667 0.0000
Ag1 Ag 0.0000 0.0000 0.5000
F1 F 0.0000 0.3641 0.2225

Bottom line: (ii), by a margin of 31 meV per atom.
+++
Back to the piece
A. 100 B. 95 C. 90 D. 85 [判断题]氢气是一种无色、无味、易燃易爆的气体。( )
A.正确 B.错误 [名词解释]体育测量的客观性
[单项选择]缺铁性贫血病人口服补铁剂治疗后有效的表现先是( )
A. 血清铁上升 B. 血清铁蛋白上升 C. 网织红细胞上升 D. 血红蛋白上升 E. 红细胞平均体积恢复正常 [单选题]《中国南方电网有限责任公司电力安全工作规程》(Q/CSG 510001-2015)第15.2.10条规定:开断电缆前,必须与电缆图纸核对是否相符,并使用专用仪器确定作业对象电缆停电后,用( )的铁钎或电缆试扎装置扎入电缆芯后方可作业。
A.带绝缘柄 B.接地的带绝缘柄 C.接地的带金属柄 D.带金属柄 [单项选择]汉钟离到人间传授法术,指导人们如何“点石成金”。人们蜂拥而来求艺,唯独吕洞宾问道:“点石成金之后,金子还会变成石头吗”汉钟离答道:“会,但那是三千年以后的事情了。”吕洞宾大惊失色:“如果有人三千年后本想靠着一块金子来度日,但金子却变成了石头,那岂不是害了人家!这法术万万学不得!”吕洞宾拒绝学习“点石成金”的法术——他刚一拒绝便成了仙。
这个故事的寓意是( )。 A. 拒绝捷径 B. 轻视名利 C. 己欲立则立人,己欲达则达人 D. 仁者爱人 [单选题]《保安服务管理条例》自()起施行。
A.2009年1月1日 B.2009年5月1日 C.2010年1月1日 D.2010年5月1日 [判断题]在美国,PC是政治正确的意思他是不成文的法律。
[多选题]下列哪些行政案件属于中级人民法院管辖( )
A.被告为县级以上人民政府的案件 B.经复议但复议机关维持了原具体行政行为的案件 C.重大涉外或者涉及台湾地区的案件 D.对海关所作行政处罚不服起诉的案件 [单选题]某女性患者,33岁,孕1产0,孕9周,早孕反应较重,恶心呕吐,进食不良,精神不佳,心理忧虑。尿频尿急,经检查排除真菌、滴虫、衣原体等感染,晚间睡眠不佳。关于患者尿频尿急、睡眠不佳,给予的护理措施不包括( )。
A.睡前用梳子梳头 B.放松情绪 C.抗生素治疗 D.每日坚持户外活动 E.喝热牛奶 [单选题]当火势突破建筑屋顶时,应采取的灭火措施是( )
A.利用消防水炮、高喷消防车向起火建筑射水,阻止火焰外窜。 B.加强排烟 C.放弃内攻 D.增强内攻力量 我来回答: 提交